About the Business Committee

Published 01/12/2020   |   Last Updated 16/12/2024   |   Reading Time minutes

Guide to Business Committee

Remit of the Business Committee

Materials data that have nothing to do with the entry:
........
No. 1
Starting from a cell relaxed with PBE, the powder X-ray diffraction pattern of CdPd4Pt was computed for copper Kα.

Most intense lines, 2θ = 10–80°, by angle:
2theta	I_rel
19.79	6.8
20.99	3.2
24.86	7.8
38.70	100.0
39.26	95.3
42.11	2.5
44.97	64.5
46.01	30.4
64.72	10.8
66.29	49.5
78.38	24.6
79.45	23.1

Structure:
Lattice parameters (Å, degrees): 9.3388 8.9412 4.8852 79.05 70.05 30.90
Sites, in units of the cell vectors:
Cd 0.1250 0.1250 0.1250
Cd 0.8750 0.8750 0.8750
Pd 0.0447 0.0447 0.7053
Pd 0.2117 0.2117 0.5383
Pd 0.2947 0.2947 0.9553
Pd 0.4617 0.4617 0.7883
Pd 0.5383 0.5383 0.2117
Pd 0.7053 0.7053 0.0447
Pd 0.7883 0.7883 0.4617
Pd 0.9553 0.9553 0.2947
Pt 0.3750 0.3750 0.3750
Pt 0.6250 0.6250 0.6250

***

No. 2
Starting from a cell relaxed with PBE, the powder X-ray diffraction pattern of Sr3Ga2Sn2Pt4 was computed for copper Kα.

Most intense lines, 2θ = 10–80°, by angle:
2theta	I_rel
22.12	31.5
22.99	20.4
25.55	53.8
28.45	28.1
32.11	86.6
39.23	19.1
40.38	100.0
40.98	27.9
46.51	27.4
52.50	21.7
57.56	37.7
68.25	19.8

Structure:
Lattice parameters (Å, degrees): 4.4678 4.4678 16.0744 90.00 90.00 120.00
Sites, in units of the cell vectors:
Sr 0.0000 0.0000 0.0000
Sr 0.0000 0.0000 0.2702
Sr 0.0000 0.0000 0.7298
Ga 0.3333 0.6667 0.1365
Ga 0.6667 0.3333 0.8635
Sn 0.3333 0.6667 0.5697
Sn 0.6667 0.3333 0.4303
Pt 0.3333 0.6667 0.3980
Pt 0.3333 0.6667 0.8681
Pt 0.6667 0.3333 0.1319
Pt 0.6667 0.3333 0.6020

***

No. 3
Starting from a cell relaxed with PBE, the powder X-ray diffraction pattern of Ti2Al3Fe4 was computed for copper Kα.

Most intense lines, 2θ = 10–80°, by angle:
2theta	I_rel
11.55	4.4
23.22	2.1
27.51	23.1
43.54	98.1
43.81	100.0
47.48	2.4
52.51	3.4
54.33	2.7
63.48	29.2
66.58	4.8
70.72	2.4
79.75	12.9

Structure:
Lattice parameters (Å, degrees): 4.1330 4.1330 7.6602 90.00 90.00 120.00
Sites, in units of the cell vectors:
Ti 0.3333 0.6667 0.2888
Ti 0.6667 0.3333 0.7112
Al 0.0000 0.0000 0.5000
Al 0.3333 0.6667 0.9263
Al 0.6667 0.3333 0.0737
Fe 0.0000 0.0000 0.1560
Fe 0.0000 0.0000 0.8440
Fe 0.3333 0.6667 0.6075
Fe 0.6667 0.3333 0.3925

***

No. 4
Starting from a cell relaxed with PBE, the powder X-ray diffraction pattern of Pu6HfGe5 was computed for copper Kα.

Most intense lines, 2θ = 10–80°, by angle:
2theta	I_rel
20.89	16.7
27.74	17.5
34.98	100.0
38.80	17.9
40.46	17.4
42.52	14.7
57.25	6.9
58.91	10.4
60.14	10.7
67.79	12.8
70.06	13.7
73.91	10.7

Structure:
Lattice parameters (Å, degrees): 8.4556 8.4556 4.4586 105.23 105.23 60.38
Sites, in units of the cell vectors:
Pu 0.0703 0.5815 0.3261
Pu 0.2366 0.7634 0.0000
Pu 0.4185 0.9297 0.6739
Pu 0.5815 0.0703 0.3261
Pu 0.7634 0.2366 0.0000
Pu 0.9297 0.4185 0.6739
Hf 0.5000 0.5000 0.5000
Ge 0.0000 0.0000 0.5000
Ge 0.1635 0.1635 0.1630
Ge 0.3549 0.3549 0.8548
Ge 0.6451 0.6451 0.1452
Ge 0.8365 0.8365 0.8370

***

No. 5
Starting from a cell relaxed with PBE, the powder X-ray diffraction pattern of AcIn2BiTe4 was computed for copper Kα.

Most intense lines, 2θ = 10–80°, by angle:
2theta	I_rel
11.18	9.9
........

The Business Committee exists to facilitate the effective organisation of Senedd proceedings.

Committee Membership

The Committee is made up of a Member from each of the political groups represented in the Senedd and is chaired by the Presiding Officer (or in his/her absence, the Deputy Presiding Officer).

The Head of the Chamber Secretariat within the Senedd Commission is Clerk to the Committee. Other officials from the Senedd Commission and Welsh Government also attend the weekly meetings to offer advice and guidance to Members.

Committee Meetings

Business Committee is required to meet at least once every two weeks although, in practice, they meet on a weekly basis every Tuesday morning.

Proceedings are usually conducted in private and are therefore closed to the public. However, when discussing the Senedd's procedures (for example during the review of Standing Orders which took place in preparation for the Fourth Assembly), a series of meetings were held in public.

The minutes of each meeting are published within 1 week of their being agreed by the Committee.

Roles and responsibilities of the Business Committee

Organisation of Senedd business

At each meeting, the Business Committee determines the organisation of Senedd business and comments on the organisation of Government business.

These combine to form the basis of the Business Statement and Announcement which is then announced in Plenary by the Minister responsible for government business setting out all business for the following three weeks.

**Records of crystals from another source follow**
=====
# 1
This entry pairs a crystal structure of Co3CuHg with its theoretical powder diffraction line list. Radiation: Cu Kα (weighted mean of Kα1 and Kα2). Structure: DFT lattice parameters and positions (GGA-PBE).

Main lines, most intense first (15° ≤ 2θ ≤ 90°):
Position (°2θ)  intensity
28.95  1000
41.40  929
35.65  915
59.99  597
51.31  423
71.77  345
82.80  222
75.51  198
67.96  184
20.36  112

Structure:
```
data_Co3CuHg
_space_group_name_H-M_alt 'P 1'
_space_group_IT_number 1
_cell_length_a 4.3618
_cell_length_b 4.3618
_cell_length_c 4.3618
_cell_angle_alpha 90.00
_cell_angle_beta 90.00
_cell_angle_gamma 90.00
loop_
_space_group_symop_operation_xyz
'x,y,z'
loop_
_atom_site_label
_atom_site_fract_x
_atom_site_fract_y
_atom_site_fract_z
_atom_site_occupancy
Co1 0.0000 0.0000 0.5000 1
Co2 0.0000 0.5000 0.0000 1
Co3 0.5000 0.0000 0.0000 1
Cu1 0.0000 0.0000 0.0000 1
Hg1 0.5000 0.5000 0.5000 1
```

# 2
This entry pairs a crystal structure of Li6MgIn12 with its theoretical powder diffraction line list. Radiation: Cu Kα (weighted mean of Kα1 and Kα2). Structure: DFT lattice parameters and positions (GGA-PBE).

Main lines, most intense first (15° ≤ 2θ ≤ 90°):
Position (°2θ)  intensity
35.81  1000
36.23  725
37.84  613
29.98  577
22.87  566
28.49  519
34.55  508
40.35  455
32.34  383
20.91  321

Structure:
```
data_Li6MgIn12
_space_group_name_H-M_alt 'P 1'
_space_group_IT_number 1
_cell_length_a 8.1679
_cell_length_b 8.1679
_cell_length_c 8.1679
_cell_angle_alpha 106.88
_cell_angle_beta 106.88
_cell_angle_gamma 106.88
loop_
_space_group_symop_operation_xyz
'x,y,z'
loop_
_atom_site_label
_atom_site_fract_x
_atom_site_fract_y
_atom_site_fract_z
_atom_site_occupancy
Li1 0.0974 0.2661 0.8183 1
Li2 0.1817 0.9026 0.7339 1
Li3 0.2661 0.8183 0.0974 1
Li4 0.7339 0.1817 0.9026 1
Li5 0.8183 0.0974 0.2661 1
Li6 0.9026 0.7339 0.1817 1
Mg1 0.5000 0.5000 0.5000 1
In1 0.1060 0.4007 0.1918 1
In2 0.1838 0.5082 0.6354 1
In3 0.1918 0.1060 0.4007 1
In4 0.3646 0.8162 0.4918 1
In5 0.4007 0.1918 0.1060 1
In6 0.4918 0.3646 0.8162 1
In7 0.5082 0.6354 0.1838 1
In8 0.5993 0.8082 0.8940 1
In9 0.6354 0.1838 0.5082 1
In10 0.8082 0.8940 0.5993 1
In11 0.8162 0.4918 0.3646 1
In12 0.8940 0.5993 0.8082 1
```

Copy entry 1 word for word.
This entry pairs a crystal structure of Co3CuHg with its theoretical powder diffraction line list. Radiation: Cu Kα (weighted mean of Kα1 and Kα2). Structure: DFT lattice parameters and positions (GGA-PBE).

Main lines, most intense first (15° ≤ 2θ ≤ 90°):
Position (°2θ)  intensity
28.95  1000
41.40  929
35.65  915
59.99  597
51.31  423
71.77  345
82.80  222
75.51  198
67.96  184
20.36  112

Structure:
```
data_Co3CuHg
_space_group_name_H-M_alt 'P 1'
_space_group_IT_number 1
_cell_length_a 4.3618
_cell_length_b 4.3618
_cell_length_c 4.3618
_cell_angle_alpha 90.00
_cell_angle_beta 90.00
_cell_angle_gamma 90.00
loop_
_space_group_symop_operation_xyz
'x,y,z'
loop_
_atom_site_label
_atom_site_fract_x
_atom_site_fract_y
_atom_site_fract_z
_atom_site_occupancy
=====

Formalising the Senedd timetable

The Business Committee must publish a timetable every six months that: outlines timetables for Plenary meetings;

  • establishes times available for other committee meetings within the Senedd;
  • establishes times for meetings of political groups;
  • outlines dates for oral questions to be taken in Plenary meetings.

Determining committee structures and membership

The Business Committee is responsible for determining the titles, roles and memberships of all other committees within the Senedd.

In doing so, they must ensure that every area of responsibility of the government and any associated public body are subject to scrutiny by a committee or committees;all matters relating to the legislative competence of the Senedd and functions of the Ministers are subject to the scrutiny of a committee or committees; andwhere possible, ensure that there is broad balance between holding the government to account and making laws for Wales.

# Records of crystals, kept here for reference
********
This entry pairs a crystal structure of Tm2CdReO8 with its computed X-ray diffraction stick pattern. Radiation: Cu Kα (λ = 1.5418 Å). Structure: DFT lattice parameters and positions (PBE).
Neutral-atom scattering factors, no anomalous dispersion.

Principal peaks in the range 10 to 90 degrees two-theta, by angle:
2θ = 25.2°, 3.535 Å, I 54.3, (0 2 0); 2θ = 26.2°, 3.406 Å, I 47.9, (2 0 0); 2θ = 31.6°, 2.827 Å, I 100.0, (1 1 2); 2θ = 36.6°, 2.453 Å, I 27.1, (2 2 0); 2θ = 48.6°, 1.873 Å, I 37.4, (1 3 2); 2θ = 49.7°, 1.833 Å, I 34.8, (3 1 2); 2θ = 62.9°, 1.478 Å, I 19.8, (3 3 2); 2θ = 66.1°, 1.414 Å, I 11.6, (2 2 4)

Cell and atoms:
```
data_Tm2CdReO8
_chemical_formula_sum 'Tm4 Cd2 Re2 O16'
_cell_length_a 6.812
_cell_length_b 7.069
_cell_length_c 6.919
_cell_angle_alpha 90.00
_cell_angle_beta 90.00
_cell_angle_gamma 90.00
_space_group_name_H-M_alt 'C m m m'
_space_group_IT_number 65
_space_group_name_Hall '-C 2 2'
loop_
_atom_site_label
_atom_site_fract_x
_atom_site_fract_y
_atom_site_fract_z
Tm1 0.000 0.000 0.249
Cd1 0.000 0.500 0.000
Re1 0.000 0.500 0.500
O1 0.000 0.313 0.304
O2 0.193 0.000 0.000
O3 0.219 0.000 0.500
```

* * * * *

Record 1
Simulated powder XRD pattern of Ba3IrO7 for Cu Kα (weighted mean of Kα1 and Kα2), from a structure optimized by DFT (PBE).

Peak list (8 most intense, 10° ≤ 2θ ≤ 90°, in order of rising 2θ)
two_theta	intensity
27.30	100
29.55	19
31.32	27
31.77	35
40.48	19
45.22	26
48.44	15
53.33	16

Cell and atoms:
```
22
Lattice="7.965 0.000 0.000 0.000 7.965 0.000 0.000 0.000 5.713" Properties=species:S:1:pos:R:3 pbc="T T T"
Ba 0.000 0.000 0.000
Ba 1.461 2.521 2.856
Ba 2.521 6.504 2.856
Ba 3.983 3.983 0.000
Ba 5.444 1.461 2.856
Ba 6.504 5.444 2.856
Ir 0.000 3.983 0.000
Ir 3.983 0.000 0.000
O 0.000 0.000 2.856
O 0.933 4.915 1.358
O 0.933 4.915 4.354
O 1.354 2.628 0.000
O 2.628 6.611 0.000
O 3.050 0.933 1.358
O 3.050 0.933 4.354
O 3.983 3.983 2.856
O 4.915 7.033 1.358
O 4.915 7.033 4.354
O 5.337 1.354 0.000
O 6.611 5.337 0.000
O 7.033 3.050 1.358
O 7.033 3.050 4.354
```

***

Record 2
Simulated powder XRD pattern of ZrBi2O5 for Cu Kα (weighted mean of Kα1 and Kα2), from a structure optimized by DFT (PBE).

Peak list (8 most intense, 10° ≤ 2θ ≤ 90°, in order of rising 2θ)
two_theta	intensity
25.89	31
28.17	58
30.24	100
30.89	56
31.54	40
40.22	55
42.79	38
54.95	37

Cell and atoms:
```
32
Lattice="10.024 0.000 0.000 0.000 6.883 0.000 0.000 0.000 6.336" Properties=species:S:1:pos:R:3 pbc="T T T"
Zr 0.023 1.721 0.402
Zr 4.989 5.162 3.570
Zr 5.035 1.721 2.766
Zr 10.001 5.162 5.934
Bi 1.746 3.450 3.066
Bi 1.746 6.874 3.066
Bi 3.266 0.008 6.234
Bi 3.266 3.433 6.234
Bi 6.758 3.450 0.102
Bi 6.758 6.874 0.102
Bi 8.278 0.008 3.270
Bi 8.278 3.433 3.270
O 0.062 1.721 2.639
O 0.863 3.646 0.964
O 0.863 6.678 0.964
O 1.865 1.721 5.459
O 2.068 5.162 5.273
O 2.944 1.721 2.105
O 3.147 5.162 2.291
O 4.149 0.204 4.132
O 4.149 3.237 4.132
O 4.950 5.162 5.807
O 5.074 1.721 0.528
O 5.875 3.646 2.204
O 5.875 6.678 2.204
O 6.877 1.721 4.045
********
# The text goes on

Assisting the legislation process

When a Bill is introduced, the Business Committee must establish a timetable for its consideration and may refer it to a committee who must report on the general principles.

The Business Committee may also refer any legislative consent memorandum to a committee for consideration.

Other responsibilities

The Business Committee is also responsible for:

  • appointing one Member from each of the Senedd's four largest political groups as Senedd Commissioners at the beginning of each Senedd term;
  • establishing a date by which the government’s budget is to be reported on and debated in Plenary; and
  • considering and reporting on any proposals to revise or remake Standing Orders.

Further information

For more information about the Business Committee, contact Chamber Secretariat (Graeme.Francis@Senedd.cymru, 0300 200 7352)